Car Insurance Scams You Need to Beware Of

From bogus injuries to inauthentic damaged auto parts, car insurance scammers are slowly growing in the Philippines. And while this shouldn’t deter you from getting the best vehicle insurance package available, you also need to stay vigilant against these crooks. They love to prey on unsuspecting and vulnerable people after all. Below are the most common car insurance scams in the country.
The Fake Good Samaritan
What comes next are records of molecules, not part of the article =
********
This record from the OMol25 dataset describes a structure of composition C55H51BaN6O6P4Se. The level of theory is ωB97M-V/def2-TZVPD.

highest occupied orbital energy: -4.23 eV
max |F|: 8.42 eV/Å
relative energy (zero: lowest compared OMol25 entry of this formula, charge and spin): 3.1364 eV
HOMO-LUMO gap: 0.23063 Eh

```
! wB97M-V def2-TZVPD RIJCOSX def2/J DEFGRID3
* xyz -1 1
Ba 0.88 -0.48 0.12
C -4.55 -3.22 -2.39
N -3.26 -2.59 -2.25
C -2.18 -2.78 -3.07
C -1.19 -1.99 -2.57
N -1.64 -1.31 -1.48
C -2.88 -1.69 -1.30
P -4.07 -0.97 -0.13
C -3.72 0.78 -0.50
N -3.34 1.19 -1.69
C -3.33 2.56 -1.63
C -3.73 2.97 -0.39
N -4.01 1.83 0.31
C -4.56 1.76 1.65
C -3.19 -1.23 1.46
N -1.90 -1.22 1.68
C -1.72 -1.51 3.00
C -2.94 -1.70 3.60
N -3.87 -1.53 2.61
C -5.30 -1.62 2.81
H -4.45 -4.10 -3.03
H -5.28 -2.55 -2.84
H -4.93 -3.54 -1.42
H -2.22 -3.45 -3.91
H -0.18 -1.89 -2.93
H -3.04 3.15 -2.48
H -3.82 3.96 0.04
H -5.15 2.65 1.85
H -3.77 1.66 2.40
H -5.23 0.89 1.71
H -0.73 -1.55 3.43
H -3.22 -1.93 4.61
H -5.56 -2.55 3.31
H -5.80 -1.60 1.84
H -5.67 -0.79 3.41
C -2.48 2.51 7.43
C -2.14 3.67 6.76
C -1.68 3.63 5.45
C -1.56 2.41 4.78
C -1.90 1.24 5.47
C -2.35 1.29 6.78
P -0.91 2.15 3.06
C -0.75 3.91 2.53
C 0.45 4.45 2.10
C 0.49 5.74 1.59
C -0.66 6.51 1.52
C -1.86 5.99 1.98
C -1.91 4.69 2.47
C 0.80 1.64 3.44
C 1.47 2.31 4.48
C 2.75 1.95 4.83
C 3.35 0.90 4.15
C 2.69 0.25 3.12
C 1.38 0.58 2.70
H -2.83 2.54 8.45
H -2.22 4.63 7.26
H -1.41 4.55 4.95
H -1.79 0.29 4.96
H -2.60 0.37 7.30
H 1.35 3.85 2.13
H 1.43 6.15 1.22
H -0.62 7.52 1.11
H -2.76 6.59 1.96
H -2.85 4.29 2.82
H 0.99 3.14 4.99
H 3.27 2.48 5.62
H 4.36 0.60 4.43
H 3.21 -0.57 2.63
O 1.88 0.44 -1.48
P 2.53 0.25 -2.82
C 2.44 2.24 -3.09
P 2.62 2.91 -1.42
O 1.45 2.87 -0.51
C 4.20 2.29 -0.77
C 5.39 2.64 -1.42
C 6.60 2.20 -0.93
C 6.64 1.39 0.20
C 5.46 1.05 0.86
C 4.25 1.51 0.38
C 3.03 4.70 -1.58
C 2.43 5.49 -2.56
C 2.55 6.87 -2.52
C 3.27 7.48 -1.50
C 3.85 6.71 -0.51
C 3.73 5.33 -0.55
C 1.60 -0.02 -4.38
C 0.25 0.30 -4.37
C -0.52 0.14 -5.51
C 0.07 -0.31 -6.68
C 1.41 -0.65 -6.69
C 2.18 -0.52 -5.54
C 4.33 0.10 -3.13
C 5.15 -0.72 -2.35
C 6.46 -0.95 -2.72
C 6.98 -0.37 -3.87
C 6.18 0.46 -4.64
C 4.86 0.69 -4.27
H 1.41 2.45 -3.37
H 3.10 2.75 -3.79
H 5.35 3.27 -2.30
H 7.52 2.47 -1.43
H 7.59 1.03 0.58
H 5.49 0.42 1.74
H 3.32 1.28 0.89
H 1.86 5.01 -3.34
H 2.07 7.47 -3.28
H 3.36 8.56 -1.47
H 4.39 7.18 0.30
H 4.17 4.72 0.24
H -0.21 0.66 -3.45
H -1.58 0.38 -5.48
H -0.52 -0.41 -7.59
H 1.87 -1.02 -7.60
H 3.21 -0.82 -5.54
H 4.76 -1.18 -1.46
H 7.08 -1.59 -2.11
H 8.00 -0.57 -4.17
H 6.57 0.92 -5.54
H 4.24 1.33 -4.89
O 2.45 -1.59 -2.69
Se 2.45 -2.46 -1.21
O 0.91 -2.72 -0.80
O 3.08 -1.57 -0.02
O 3.25 -3.80 -1.49
*
```

Results of the Löwdin charge analysis, in e, for atoms 1 through 6: 1.9074, -0.0522, -0.1359, -0.0425, -0.1473, 0.0401
********
Having a Good Samaritan stop by and help you during your car troubles is always a blessing. However, not all Good Samaritans you happen to cross paths with during emergency situations are real. In fact, some of them might be wolves in sheep’s clothing, intent on doing you bodily harm or making away with some of your stuff. That’s why as much as possible, you need to wait for the authorities in case your vehicle died on you.
The Crash-for-Cash Modus
You’ve probably heard of road incidents wherein a motorist gets “rear-ended” by another so the latter can extort cash from the former for auto repairs and medical bills. While there are moments when this is truly the case, there are some situations where the so-called victim is actually the perpetrator. You see, most rear-end collisions are the fault of the driver behind. Scammers take advantage of this fact by positioning themselves in front of their target and abruptly hitting the brakes. Watch out for these people.
The Hood Jumper
The Hood Jumper modus involves the scammer throwing themselves in front of your moving car and pretending that you hit them. They would then demand financial assistance from you for the injuries you “caused.” to avoid being bagged by these types of crooks, install a dash cam in your car interior. That way, you’ll have proof that you didn’t hit them.
The Grand Schemer
The grand schemer doesn’t just aim for your money; they want to ruin your reputation, too. Here’s an example on how they do it. Say you’re an intersection, and the crook has the right-of-way at the other side of the road. He’ll “forego” his right-of-way and waves you to proceed first. But as soon as you crossed the intersection, he’ll ram the side of your car until you’re pinned with the other vehicles in the intersection. Afterwards, he’ll claim that you broke the right-of-way rules, making it look like the accident is your fault.
How to Effectively Avoid These Scams
Many ill-meaning people today would go through great (and often unjust) lengths just to get cash. But by being a responsible and shrewd motorist, you’ll be able to detect these scammers before they strike.